b. CONTROL FEATURES — The EconoMi$er IV controller
provides superior functionality for rooftop unit operation.
EconoMi$er IV control features are included as follows:
Remote Minimum Position
— The EconoMi$er IV con-
troller can be used with a field-supplied and field-
installed remote minimum position control switch that will
enable and disable the EconoMi$er IV to open or close
the damper beyond the minimum position for modified
ventilation, providing 2 to 10 vdc output.
NOTE: Minimum position signal takes priority over the
DCV (demand control ventilation) maximum position
Demand Control Ventilation (DCV)
— The EconoMi$er
IV has DCV capability when using an IAQ sensor. This
sensor is typically installed in the return duct or occupied
space. When implementing a DCV control scheme with
the EconoMi$er IV, the control algorithm will modulate
the position of the damper between two user-configured
damper positions, Maximum DCV Position and Minimum
Occupied position. Design airflow rates for these two
damper positions should be such that when the damper
is at the Maximum DCV position, enough fresh ventila-
tion air will be brought in to remove contaminants and
generated by sources other than people (i.e., since
in unoccupied mode). The Maximum DCV position is
intended to satisfy the IAQ “Base Ventilation Rate.” The
Minimum Occupied position design airflow rate should
be sufficient to satisfy ventilation requirements for
removing CO
from all sources including people at the
maximum occupancy.
IAQ Sensors
— EconoMi$er IV can be utilized with any
) sensor that provides a 2 to 10 vdc output. The
controller will modulate the outdoor air damper to pro-
vide ventilation based on the sensor output and the IAQ
setting of the controller. When used, an IAQ sensor will
Crystal structures, as found in the file
┌──
Calculated powder XRD pattern of Ce2Pm3Hg8 for CuKα, from a structure optimized by DFT (PBE).
No peak broadening, texture or thermal motion is included.

Largest 10 diffraction maxima, in order of rising 2θ, 10 to 90 degrees two-theta:
2θ/deg, d_spacing, I (rel.)
29.32, 3.046, 32
30.27, 2.952, 49
32.39, 2.764, 70
34.37, 2.610, 100
35.49, 2.530, 43
36.31, 2.474, 48
37.22, 2.416, 40
49.74, 1.833, 34
53.97, 1.699, 35
60.82, 1.523, 42

Atomic structure:
abc: 12.406 12.406 12.406
angles: 28.43 28.43 28.43
Fractional coordinates of all 13 atoms:
Ce 0.129 0.129 0.129
Ce 0.871 0.871 0.871
Pm 0.307 0.307 0.307
Pm 0.500 0.500 0.500
Pm 0.693 0.693 0.693
Hg 0.215 0.215 0.215
Hg 0.224 0.224 0.717
Hg 0.224 0.717 0.224
Hg 0.283 0.776 0.776
Hg 0.717 0.224 0.224
Hg 0.776 0.283 0.776
Hg 0.776 0.776 0.283
Hg 0.785 0.785 0.785

~~~~~

No. 1
For CaCr4O6, a structure optimized by DFT (GGA+U) gives the calculated X-ray powder pattern in this record (λ = 1.5418 Å (Cu Kα)).
Peak positions follow from Bragg's law for the DFT cell and can differ from measured ones.

Atomic structure:
Cell: 5.4026 5.4026 15.1444 Å, 90.00 90.00 146.61°
Atoms (fractional coordinates):
Ca 0.1632 0.8368 0.7500
Ca 0.8368 0.1632 0.2500
Cr 0.0894 0.9106 0.1331
Cr 0.0894 0.9106 0.3669
Cr 0.3631 0.6369 0.0433
Cr 0.3631 0.6369 0.4567
Cr 0.6369 0.3631 0.5433
Cr 0.6369 0.3631 0.9567
Cr 0.9106 0.0894 0.6331
Cr 0.9106 0.0894 0.8669
O 0.0000 0.0000 0.0000
O 0.0000 0.0000 0.5000
O 0.1739 0.8261 0.2500
O 0.2887 0.7113 0.5856
O 0.2887 0.7113 0.9144
O 0.4630 0.5370 0.1570
O 0.4630 0.5370 0.3430
O 0.5370 0.4630 0.6570
O 0.5370 0.4630 0.8430
O 0.7113 0.2887 0.0856
O 0.7113 0.2887 0.4144
O 0.8261 0.1739 0.7500

The 8 most intense peaks (10° ≤ 2θ ≤ 90°), in order of rising 2θ:
d = 7.572 Å, 2θ = 11.69°, I = 33; d = 2.768 Å, 2θ = 32.35°, I = 35; d = 2.614 Å, 2θ = 34.31°, I = 100; d = 2.562 Å, 2θ = 35.02°, I = 36; d = 2.281 Å, 2θ = 39.50°, I = 52; d = 2.207 Å, 2θ = 40.88°, I = 98; d = 2.099 Å, 2θ = 43.10°, I = 52; d = 1.568 Å, 2θ = 58.88°, I = 52



No. 2
For Ba2Li3La3Mo8O32, a structure optimized by DFT (GGA+U) gives the calculated X-ray powder pattern in this record (λ = 1.5418 Å (Cu Kα)).
Peak positions follow from Bragg's law for the DFT cell and can differ from measured ones.

Atomic structure:
Cell: 5.4108 7.1263 19.5086 Å, 89.28 89.65 68.11°
Atoms (fractional coordinates):
Ba 0.0000 0.0000 0.0000
Ba 0.0620 0.8878 0.4728
Li 0.3452 0.3139 0.4778
Li 0.7212 0.5697 0.9928
Li 0.8827 0.2324 0.1977
La 0.1752 0.6497 0.6997
La 0.1794 0.6519 0.2629
La 0.8896 0.2370 0.7714
Mo 0.2942 0.4146 0.0810
Mo 0.3062 0.4179 0.8915
Mo 0.4668 0.0639 0.3280
Mo 0.4767 0.0654 0.6395
Mo 0.5887 0.8206 0.8300
Mo 0.5947 0.8264 0.1401
Mo 0.7598 0.4680 0.5788
Mo 0.7731 0.4676 0.3891
O 0.0306 0.2437 0.4198
O 0.0333 0.6377 0.0502
O 0.0938 0.3409 0.9448
O 0.1346 0.4564 0.8064
O 0.1445 0.2313 0.0921
O 0.2256 0.2840 0.2874
O 0.2646 0.9798 0.6956
O 0.2676 0.0174 0.8409
O 0.3043 0.9053 0.1957
O 0.3134 0.1210 0.5598
O 0.3233 0.6526 0.9139
└──
modulate the damper from the minimum position (base
ventilation rate based on CO
levels) to maximum posi-
tion (full occupancy ventilation rate).
Damper Operation — The EconoMi$er IV allows the
damper to be configured for two adjustable damper posi-
tions including maximum position and occupied mini-
mum positions. The two (2) position damper capability is
a unique feature of EconoMi$er IV and includes opera-
tion flexibility as follows:
1. Minimum Occupied Position: This adjustable position
allows a minimum ventilation (base ventilation rate)
airflow rate through the unit during occupied periods.
2. Demand Control Ventilation (DCV) Maximum Posi-
tion: A DCV maximum occupied position is provided
when using an IAQ sensor for DCV. See DCV and
Control sections for sequence. The DCV Maximum
Position limits outdoor airflow into the rooftop when
the DCV routine overrides the mixed air sensor. Set-
ting the DCV Maximum Position of the outdoor air
damper prevents large amounts of hot or cold air into
the space.
IMPORTANT: When the DCV Maximum Position is set
below the minimum position, the minimum position
overrides the maximum position, negating most DCV
Power Exhaust
— The EconoMi$er IV has the capability
to control one stage of power exhaust for maintaining air
balance and pressurization. Control is activated based
on outdoor air damper position (adjustable); factory-set
at the “middle” position (dampers halfway open).
Compressor Staging
— The EconoMi$er IV is an inte-
grated economizer and has the ability to utilize simulta-
neous outdoor air and compressors. The EconoMi$er IV
can be configured to support economizer and compres-
sor operation. Only one or two compressor operation is
available with 3 to 12
ton units.
controller can be configured to accommodate all avail-
able economizer control strategies that place the rooftop
unit in economizer mode including:
Remote Minimum Position
— Used when a remote sig-
nal from a remote minimum position control will enable
and disable the EconoMi$er IV (remote enable control).
Outdoor Dry Bulb
— EconoMi$er IV will be enabled
based on the outdoor-air temperature. This is provided
standard with the EconoMi$er IV.
Differential Dry Bulb
— EconoMi$er IV will be enabled
whenever the outdoor-air temperature is lower than the
return-air temperature.
Outside Air Enthalpy
— EconoMi$er IV will be enabled
based on the outside air enthalpy curves as shown in the
EconoMi$er IV Changeover diagram below. The A, B,
C, and D curves shown have been in use for many years
and have been included as part of the latest
ASHRAE 90.1 energy efficiency code. The curves are
designed to take into consideration both outdoor temper-
ature and humidity. These curves are used to set up the
EconoMi$er IV controller to use the EconoMi$er IV for
free cooling when the conditions to the left of the curve
exist. When the conditions are to the right of the curve,
then outdoor air cooling will not be used and the outdoor
air damper position will be set at the minimum position.
Deciding which curve is used is a function of the outdoor
climate and the type of economizer utilized. Since
EconoMi$er IV is a fully integrated economizer, the
=====
[1]
KMnHF6: computed X-ray diffraction stick pattern (CuKα), based on a cell relaxed with GGA+U.
Neutral-atom scattering factors, no anomalous dispersion.

Top 10 peaks for 15° ≤ 2θ ≤ 90°, by angle:
h k l	d_spacing	intensity
0 0 1	5.253	824
0 1 0	4.820	422
1 0 0	4.712	591
1 1 0	4.214	1000
1 0 1	3.691	918
0 1 -1	3.569	368
0 1 1	3.534	546
1 0 -1	3.350	523
1 2 1	2.334	555
1 1 -2	2.155	601

Structural model:
```
data_KMnHF6
_chemical_formula_sum 'K1 Mn1 H1 F6'
_cell_length_a 5.0785
_cell_length_b 5.1695
_cell_length_c 5.2800
_cell_angle_alpha 88.44
_cell_angle_beta 84.24
_cell_angle_gamma 68.80
_space_group_name_H-M_alt 'P 1'
_space_group_IT_number 1
_space_group_name_Hall 'P 1'
loop_
_atom_site_label
_atom_site_fract_x
_atom_site_fract_y
_atom_site_fract_z
_atom_site_occupancy
K1 0.0000 0.0000 0.0000 1
Mn1 0.5708 0.5854 0.5269 1
H1 0.5585 0.0912 0.5285 1
F1 0.2254 0.8039 0.4334 1
F2 0.4033 0.5133 0.8277 1
F3 0.5413 0.2614 0.3818 1
F4 0.5916 0.9124 0.6749 1
F5 0.7395 0.6518 0.2244 1
F6 0.9131 0.3730 0.6268 1
```

[2]
KMoH8N2F6: computed X-ray diffraction stick pattern (CuKα), based on a cell relaxed with GGA+U.
Neutral-atom scattering factors, no anomalous dispersion.

Top 10 peaks for 15° ≤ 2θ ≤ 90°, by angle:
h k l	d_spacing	intensity
1 1 1	5.367	541
2 0 0	4.648	1000
2 2 0	3.287	799
3 1 1	2.803	133
4 0 0	2.324	587
4 2 0	2.079	471
4 2 2	1.897	242
4 4 0	1.643	321
6 0 0	1.549	218
6 4 2	1.242	142

Structural model:
```
data_KMoH8N2F6
_chemical_formula_sum 'K4 Mo4 H32 N8 F24'
_cell_length_a 9.2957
_cell_length_b 9.2957
_cell_length_c 9.2957
_cell_angle_alpha 90.00
_cell_angle_beta 90.00
_cell_angle_gamma 90.00
_space_group_name_H-M_alt 'F m -3 m'
_space_group_IT_number 225
_space_group_name_Hall '-F 4 2 3'
loop_
_atom_site_label
_atom_site_fract_x
_atom_site_fract_y
_atom_site_fract_z
_atom_site_occupancy
K1 0.0000 0.0000 0.0000 1
Mo1 0.0000 0.0000 0.5000 1
H1 0.1859 0.1859 0.3141 1
N1 0.2500 0.2500 0.2500 1
F1 0.0000 0.0000 0.2753 1
```

[3]
K2MoHOF5: computed X-ray diffraction stick pattern (CuKα), based on a cell relaxed with GGA+U.
Neutral-atom scattering factors, no anomalous dispersion.

Top 10 peaks for 15° ≤ 2θ ≤ 90°, by angle:
h k l	d_spacing	intensity
1 1 -1	5.267	670
1 1 1	5.202	783
0 0 2	4.611	649
0 2 0	4.509	744
2 0 0	4.483	695
2 0 -2	3.244	400
0 2 2	3.224	717
2 0 2	3.181	1000
0 4 0	2.255	472
4 0 0	2.241	431

Structural model:
```
data_K2MoHOF5
_chemical_formula_sum 'K8 Mo4 H4 O4 F20'
_cell_length_a 8.9669
_cell_length_b 9.0181
_cell_length_c 9.2231
_cell_angle_alpha 90.00
_cell_angle_beta 91.07
_cell_angle_gamma 90.00
_space_group_name_H-M_alt 'C 1 2 1'
_space_group_IT_number 5
_space_group_name_Hall 'C 2y'
loop_
_atom_site_label
_atom_site_fract_x
_atom_site_fract_y
_atom_site_fract_z
_atom_site_occupancy
K1 0.0000 0.0000 0.0000 1
K2 0.0000 0.4740 0.0000 1
K3 0.2366 0.7370 0.7136 1
Mo1 0.2479 0.2370 0.7673 1
=====
range where outdoor air can be utilized for free cooling is
expanded and the A and B curves may be used. The
control point table in the EconoMi$er IV Changeover dia-
gram below provides assistance for whether the A and B
curves will be suitable. In general terms, a hot and humid
climate may be a reason not to use the A curve, while a
cooler climate might be more applicable for using the A
or B curve.
The EconoMi$er IV has expanded outdoor air capability.
For a changeover economizer which cannot utilize
simultaneous economizer and compression, both A and
B curves would potentially be undesirable since the tem-
perature and humidity levels are too high without com-
pression assistance to provide effective cooling.
Therefore, most changeover economizers utilize the D
Differential Enthalpy
— The EconoMi$er IV will be
enabled based on the comparison of the enthalpy of the
return air and outside air. When the outside air enthalpy
is lower than he return side, the unit will be in econo-
mizer mode.
Using the EconoMi$er IV controller for implementing
different control changeover strategies requires the use
of different combinations of dry bulb and humidity
sensors as outlined in the EconoMi$er IV Sensor Usage